Work order:
Print the whole of the calculation results further below exactly.
Entries:
'''
PNF2, optimized geometry, DFT meta-GGA r2SCAN; M_tot = 0.00 μB/f.u.; SG = P2_1/c, No. 14; relative energy among the computed polymorphs = 5 meV per atom; calculated density = 2447 kg/m³; DFT formation energy = -1.921 eV per atom
1.0
4.859 0.000 0.000
0.000 13.632 0.000
-2.274 0.000 6.799
P N F
8 8 16
Cartesian
-0.062 1.606 1.329 P
-1.199 5.210 4.729 P
0.078 7.838 4.743 P
1.215 12.611 1.344 P
1.371 1.022 5.455 P
2.508 5.795 2.056 P
3.784 8.422 2.070 P
2.647 12.026 5.470 P
-0.241 8.440 3.364 N
-1.378 12.009 6.764 N
0.765 0.385 1.788 N
-0.372 6.431 5.187 N
2.957 7.201 1.611 N
1.820 13.247 5.011 N
3.963 1.623 0.035 N
2.826 5.193 3.435 N
-0.144 8.816 0.911 F
-1.280 11.633 4.310 F
0.869 2.835 1.335 F
-0.268 3.981 4.734 F
-0.169 1.083 5.282 F
0.968 5.733 1.883 F
-0.328 8.847 5.831 F
0.809 11.602 2.432 F
1.777 2.031 4.367 F
2.914 4.785 0.967 F
1.617 7.899 4.916 F
2.754 12.550 1.516 F
2.854 9.651 2.065 F
1.717 10.797 5.464 F
3.866 2.000 2.489 F
2.729 4.817 5.888 F

~~~~~

(a)
# LiCuCO3 | the Materials Project database | PBE-GGA | optimized geometry
data_LiCuCO3
_chemical_formula_sum 'Li3 Cu3 C3 O9'
_cell_length_a 8.2970
_cell_length_b 8.2970
_cell_length_c 3.0543
_cell_angle_alpha 90.00
_cell_angle_beta 90.00
_cell_angle_gamma 120.00
_space_group_name_H-M_alt 'P -6'
_space_group_IT_number 174
loop_
_space_group_symop_operation_xyz
'x,y,z'
'-x+y,-x,-z'
'-y,x-y,z'
'x,y,-z'
'-x+y,-x,z'
'-y,x-y,-z'
loop_
_atom_site_label
_atom_site_type_symbol
_atom_site_fract_x
_atom_site_fract_y
_atom_site_fract_z
_atom_site_occupancy
Li1 Li 0.0347 0.6959 0.0000 1
Cu1 Cu 0.3541 0.0217 0.5000 1
C1 C 0.0000 0.0000 0.5000 1
C2 C 0.3333 0.6667 0.5000 1
C3 C 0.6667 0.3333 0.0000 1
O1 O 0.0701 0.8911 0.5000 1
O2 O 0.1562 0.6112 0.5000 1
O3 O 0.4851 0.2427 0.0000 1
# total moment = 0.0 μB/cell
# crystal system = hexagonal


(b)
# LiCuCO3 | the Materials Project database | PBE-GGA | optimized geometry
data_LiCuCO3
_chemical_formula_sum 'Li3 Cu3 C3 O9'
_cell_length_a 8.1943
_cell_length_b 8.1943
_cell_length_c 3.1587
_cell_angle_alpha 90.00
_cell_angle_beta 90.00
_cell_angle_gamma 120.00
_space_group_name_H-M_alt 'P -6'
_space_group_IT_number 174
loop_
_space_group_symop_operation_xyz
'x,y,z'
'-x+y,-x,-z'
'-y,x-y,z'
'x,y,-z'
'-x+y,-x,z'
'-y,x-y,-z'
loop_
_atom_site_label
_atom_site_type_symbol
_atom_site_fract_x
_atom_site_fract_y
_atom_site_fract_z
_atom_site_occupancy
Li1 Li 0.0406 0.3695 0.0000 1
Cu1 Cu 0.3352 0.3023 0.5000 1
C1 C 0.0000 0.0000 0.0000 1
C2 C 0.3333 0.6667 0.5000 1
C3 C 0.6667 0.3333 0.0000 1
O1 O 0.1835 0.0864 0.0000 1
O2 O 0.2176 0.4854 0.5000 1
O3 O 0.5566 0.4059 0.0000 1
# total moment = 0.0 μB/cell
# crystal system = hexagonal


Least stable of them? (b).


(a)
# Si | the Materials Project database | PBE-GGA | optimized geometry
data_Si
_chemical_formula_sum 'Si6'
_cell_length_a 5.0924
_cell_length_b 5.0924
_cell_length_c 4.4191
_cell_angle_alpha 90.00
_cell_angle_beta 90.00
_cell_angle_gamma 120.00
_space_group_name_H-M_alt 'P 63/m m c'
_space_group_IT_number 194
_space_group_name_Hall '-P 6c 2c'
loop_
_atom_site_label
_atom_site_type_symbol
_atom_site_fract_x
_atom_site_fract_y
_atom_site_fract_z
_atom_site_occupancy
Si1 Si 0.1650 0.3300 0.2500 1
# total moment = 0.0 μB/cell
# crystal system = hexagonal


(b)
# Si | the Materials Project database | PBE-GGA | optimized geometry
data_Si
_chemical_formula_sum 'Si2'
_cell_length_a 3.353
_cell_length_b 3.353
_cell_length_c 2.575
_cell_angle_alpha 90.00
_cell_angle_beta 90.00
_cell_angle_gamma 90.00
_space_group_name_H-M_alt 'I 4/m m m'
_space_group_IT_number 139
_space_group_name_Hall '-I 4 2'
loop_
_atom_site_label
_atom_site_type_symbol
_atom_site_fract_x
_atom_site_fract_y
_atom_site_fract_z
_atom_site_occupancy
Si1 Si 0.000 0.000 0.000 1
# total moment = 0.0 μB/cell
# crystal system = tetragonal


Least stable of them? (b).


(a)
# Si | the Materials Project database | PBE-GGA | optimized geometry
data_Si
_chemical_formula_sum 'Si100'
_cell_length_a 12.409
_cell_length_b 12.610
'''
Response:
PNF2, optimized geometry, DFT meta-GGA r2SCAN; M_tot = 0.00 μB/f.u.; SG = P2_1/c, No. 14; relative energy among the computed polymorphs = 5 meV per atom; calculated density = 2447 kg/m³; DFT formation energy = -1.921 eV per atom
1.0
4.859 0.000 0.000
0.000 13.632 0.000
-2.274 0.000 6.799
P N F
8 8 16
Cartesian
-0.062 1.606 1.329 P
-1.199 5.210 4.729 P
0.078 7.838 4.743 P
1.215 12.611 1.344 P
1.371 1.022 5.455 P
2.508 5.795 2.056 P
3.784 8.422 2.070 P
2.647 12.026 5.470 P
-0.241 8.440 3.364 N
-1.378 12.009 6.764 N
0.765 0.385 1.788 N
-0.372 6.431 5.187 N
2.957 7.201 1.611 N
1.820 13.247 5.011 N
3.963 1.623 0.035 N
2.826 5.193 3.435 N
-0.144 8.816 0.911 F
-1.280 11.633 4.310 F
0.869 2.835 1.335 F
-0.268 3.981 4.734 F
-0.169 1.083 5.282 F
0.968 5.733 1.883 F
-0.328 8.847 5.831 F
0.809 11.602 2.432 F
1.777 2.031 4.367 F
2.914 4.785 0.967 F
1.617 7.899 4.916 F
2.754 12.550 1.516 F
2.854 9.651 2.065 F
1.717 10.797 5.464 F
3.866 2.000 2.489 F
2.729 4.817 5.888 F

~~~~~

(a)
# LiCuCO3 | the Materials Project database | PBE-GGA | optimized geometry
data_LiCuCO3
_chemical_formula_sum 'Li3 Cu3 C3 O9'
_cell_length_a 8.2970
_cell_length_b 8.2970
_cell_length_c 3.0543
_cell_angle_alpha 90.00
_cell_angle_beta 90.00
_cell_angle_gamma 120.00
_space_group_name_H-M_alt 'P -6'
_space_group_IT_number 174
loop_
_space_group_symop_operation_xyz
'x,y,z'
'-x+y,-x,-z'
'-y,x-y,z'
'x,y,-z'
'-x+y,-x,z'
'-y,x-y,-z'
loop_
_atom_site_label
_atom_site_type_symbol
_atom_site_fract_x
_atom_site_fract_y
_atom_site_fract_z
_atom_site_occupancy
Li1 Li 0.0347 0.6959 0.0000 1
Cu1 Cu 0.3541 0.0217 0.5000 1
C1 C 0.0000 0.0000 0.5000 1
C2 C 0.3333 0.6667 0.5000 1
C3 C 0.6667 0.3333 0.0000 1
O1 O 0.0701 0.8911 0.5000 1
O2 O 0.1562 0.6112 0.5000 1
O3 O 0.4851 0.2427 0.0000 1
# total moment = 0.0 μB/cell
# crystal system = hexagonal


(b)
# LiCuCO3 | the Materials Project database | PBE-GGA | optimized geometry
data_LiCuCO3
_chemical_formula_sum 'Li3 Cu3 C3 O9'
_cell_length_a 8.1943
_cell_length_b 8.1943
_cell_length_c 3.1587
_cell_angle_alpha 90.00
_cell_angle_beta 90.00
_cell_angle_gamma 120.00
_space_group_name_H-M_alt 'P -6'
_space_group_IT_number 174
loop_
_space_group_symop_operation_xyz
'x,y,z'
'-x+y,-x,-z'
'-y,x-y,z'
'x,y,-z'
'-x+y,-x,z'
'-y,x-y,-z'
loop_
_atom_site_label
_atom_site_type_symbol
_atom_site_fract_x
_atom_site_fract_y
_atom_site_fract_z
_atom_site_occupancy
Li1 Li 0.0406 0.3695 0.0000 1
Cu1 Cu 0.3352 0.3023 0.5000 1
C1 C 0.0000 0.0000 0.0000 1
C2 C 0.3333 0.6667 0.5000 1
C3 C 0.6667 0.3333 0.0000 1
O1 O 0.1835 0.0864 0.0000 1
O2 O 0.2176 0.4854 0.5000 1
O3 O 0.5566 0.4059 0.0000 1
# total moment = 0.0 μB/cell
# crystal system = hexagonal


Least stable of them? (b).


(a)
# Si | the Materials Project database | PBE-GGA | optimized geometry
data_Si
_chemical_formula_sum 'Si6'
_cell_length_a 5.0924
_cell_length_b 5.0924
_cell_length_c 4.4191
_cell_angle_alpha 90.00
_cell_angle_beta 90.00
_cell_angle_gamma 120.00
_space_group_name_H-M_alt 'P 63/m m c'
_space_group_IT_number 194
_space_group_name_Hall '-P 6c 2c'
loop_
_atom_site_label
_atom_site_type_symbol
_atom_site_fract_x
_atom_site_fract_y
_atom_site_fract_z
_atom_site_occupancy
Si1 Si 0.1650 0.3300 0.2500 1
# total moment = 0.0 μB/cell
# crystal system = hexagonal


(b)
# Si | the Materials Project database | PBE-GGA | optimized geometry
data_Si
_chemical_formula_sum 'Si2'
_cell_length_a 3.353
_cell_length_b 3.353
_cell_length_c 2.575
_cell_angle_alpha 90.00
_cell_angle_beta 90.00
_cell_angle_gamma 90.00
_space_group_name_H-M_alt 'I 4/m m m'
_space_group_IT_number 139
_space_group_name_Hall '-I 4 2'
loop_
_atom_site_label
_atom_site_type_symbol
_atom_site_fract_x
_atom_site_fract_y
_atom_site_fract_z
_atom_site_occupancy
Si1 Si 0.000 0.000 0.000 1
# total moment = 0.0 μB/cell
# crystal system = tetragonal


Least stable of them? (b).


(a)
# Si | the Materials Project database | PBE-GGA | optimized geometry
data_Si
_chemical_formula_sum 'Si100'
_cell_length_a 12.409
_cell_length_b 12.610